Islam Flashcards
Five pillars of Islam
All Muslims do these-
Shahadah - A declaration of faith (prayer) that expresses belief in the oneness of Allah (Tawhid)
Salat- Ritual prayer 5 times a day
Sawm- Fasting
Zakat- Giving 2.5% of annual income to charity
-- What comes next are quantum chemistry results, not part of the entry --
=====
Entry 1:
# C21H30N2O5

C21H30N2O5 in the gas phase (ωB97M-V with the def2-TZVPD basis set, the OMol25 dataset).

Computed properties:
* SMILES: CCOC(=O)c1cc(NC(=O)CC(C)(C)CC(=O)O)ccc1N1CCCCC1
* E: -1303.99521 a.u.
* HOMO energy: -0.274 Ha
* energy above the lowest of the compared OMol25 structures with the same formula, charge and spin: 0.0 kcal per mole

Geometry as ORCA input:
```
! RIJCOSX wB97M-V def2-TZVPD def2/J DEFGRID3
* xyz 0 1
C 3.5303 -1.8230 -3.5070
C 3.5430 -0.5730 -2.6468
O 2.6211 -0.7535 -1.5738
C 2.4051 0.3156 -0.7962
O 2.9548 1.3761 -0.9686
C 1.3584 0.0548 0.2278
C 0.3506 1.0055 0.3119
C -0.7434 0.8053 1.1427
N -1.7945 1.7203 1.2633
C -2.0972 2.7675 0.4528
O -1.4020 3.1542 -0.4632
C -3.4056 3.4551 0.8128
C -4.6626 2.7898 0.2092
C -5.8520 3.7212 0.4768
C -4.9497 1.4325 0.8551
C -4.5085 2.6432 -1.3157
C -3.3590 1.7769 -1.7814
O -3.0236 0.7195 -1.3119
O -2.7772 2.3003 -2.8579
C -0.7974 -0.3621 1.8999
C 0.2245 -1.2857 1.8538
C 1.3387 -1.1026 1.0275
N 2.3852 -2.0094 0.9814
C 3.7340 -1.5331 1.2159
C 4.7427 -2.4158 0.4876
C 4.5937 -3.8577 0.9601
C 3.1495 -4.2995 0.7530
C 2.1912 -3.3531 1.4774
H 4.2193 -1.7026 -4.3382
H 3.8286 -2.6889 -2.9215
H 2.5304 -1.9979 -3.8945
H 3.2462 0.3101 -3.2243
H 4.5406 -0.3819 -2.2329
H 0.4125 1.8915 -0.2982
H -2.4912 1.4587 1.9464
H -3.5133 3.5050 1.8983
H -3.3361 4.4737 0.4259
H -5.6931 4.6967 0.0235
H -5.9904 3.8598 1.5467
H -6.7670 3.2994 0.0675
H -5.9098 1.0560 0.5080
H -4.1915 0.7040 0.5853
H -5.0005 1.5271 1.9388
H -5.4208 2.1941 -1.7184
H -4.3795 3.6236 -1.7755
H -1.9999 1.7798 -3.1143
H -1.6441 -0.5408 2.5489
H 0.1600 -2.1561 2.4875
H 3.8218 -0.4977 0.8867
H 3.9530 -1.5595 2.2987
H 5.7530 -2.0491 0.6766
H 4.5481 -2.3650 -0.5832
H 5.2728 -4.5114 0.4096
H 4.8489 -3.9239 2.0208
H 3.0021 -5.3160 1.1220
H 2.9146 -4.2820 -0.3125
H 1.1649 -3.6608 1.2711
H 2.3705 -3.4151 2.5647
*
```

Results of the Löwdin charge analysis, in e, for atoms 1 through 2: -0.0604, -0.2275



Entry 2:
# C21H30N3O

2 unconnected molecules or ions with the total composition C21H30N3O in a non-equilibrium geometry (ωB97M-V with the def2-TZVPD basis set, the OMol25 dataset).

Computed properties:
* E: -1057.36794 a.u.
* HOMO energy: -0.396 Ha
* energy above the lowest of the compared OMol25 structures with the same formula, charge and spin: 54.3 kcal per mole

Geometry as ORCA input:
```
! RIJCOSX wB97M-V def2-TZVPD def2/J DEFGRID3
* xyz 1 1
C 6.8442 -1.8374 4.8387
N 6.3252 -1.2816 3.5854
C 6.8866 -1.8862 2.3769
C 5.0624 -0.6058 3.5527
C 4.9926 0.7962 3.6216
C 3.7885 1.4432 3.6826
C 2.5758 0.7236 3.6806
C 1.3366 1.3912 3.9147
C 0.1047 0.7604 3.8614
C -1.0684 1.2477 4.4047
C -2.2909 0.5083 4.4157
C -3.2736 0.7880 5.3858
C -4.4131 0.0370 5.4676
C -4.6575 -1.0136 4.5657
N -5.8892 -1.7453 4.6173
C -7.0352 -1.3691 3.7896
C -6.0156 -3.0260 5.3160
C -3.6844 -1.2904 3.5895
C -2.5343 -0.5541 3.5189
C 2.6548 -0.6803 3.5471
C 3.8577 -1.3257 3.4894
H 6.2558 -1.4729 5.6777
H 6.7856 -2.9243 4.8260
H 7.8802 -1.5360 4.9841
H 6.3279 -1.5493 1.5066
=====
Hajj- Going on pilgrimage to Mecca
Sayings of Prophet Muhammed
The city in Saudi Arabia that Muhammed was born. Where Muslims should go on pilgrimage at least once in their lives.
Holy law of Islam
Six Sunni beliefs of Islam (ALLAHM)
A- Allah ; Belief in the oneness of God and that Allah is the only one (Tawhid)
L- Life after death (Akhirah)
L- Last days ; Belief that Allah has planned everything (Al-Qadr/Pre-destination)
A- Angels (Malaikah)
H- Holy Books (Kutub)
M- Messengers ; Belief in the prophets (Nubuwwah)
5 Shi’a roots
Tawhid- Belief in the oneness of Allah
Adalat- Belief in Allah’s justice
Nubuwwah- Belief in the prophets
Imamah- Belief in the 12 leaders after Muhammed
Al-Ma’ad- Belief in the day of resurrection and judgment
Sunni and Shi’a differences and similarities in key beliefs
They both use the Qur’an
Both believe in Oneness of Allah
They have slightly different ways of life (Sunni 6 beliefs and Shi’a 5 pillars)
Both follow the main 5 pillars
Sunni’s rely on the Sunnah, a book by Muhammed to guide them.
The Islamic sacred book. It’s the direct word of Allah written by Muhammed.
How many names does Allah have?
Allah’s stewards or vicegerents (people who have been given given power on behalf of Allah)
A chapter in the Qur’an
Example and the way of life of Muhammed
Who was the original prophet
When did Islam begin
What made prophets special
They could communicate with Allah
The devil (satan)
Unrelated to this entry: records of molecules >
-- begin --
No. 1
A cluster of 2 separate species, C5H13NO in total. Source: the Open Molecules 2025 dataset; level of theory: ωB97M-V/def2-TZVPD.

Geometry (Å):
C  1.925114  0.903844  0.357447
C  1.192497  -0.134842  -0.063611
C  0.089487  -0.601183  0.942966
C  -1.206287  -0.322059  0.330304
N  -2.314844  -0.358382  1.283317
C  -3.596056  -0.045808  0.673747
H  1.876601  1.285043  1.376097
H  2.664918  1.549200  -0.123145
H  1.200504  -0.567465  -1.015525
H  0.301535  -1.682219  0.900780
H  0.177488  -0.255564  1.990901
H  -1.419302  0.731956  -0.018065
H  -1.393070  -0.833248  -0.603500
H  -2.161849  -1.070147  1.988640
H  -3.464314  0.385165  -0.291575
H  -4.244200  0.541181  1.243251
H  -4.245910  -0.855535  0.757713
O  3.723212  0.363111  -2.827449
H  2.811448  0.480405  -2.513202
H  3.885826  1.095298  -3.501113

Atomic forces in eV per Å
C 0.6366 0.4053 -0.1178
C -0.3615 2.4918 3.6796
C 2.5261 -1.2957 -1.3733
C -3.1362 2.7758 -0.1678
N 1.0538 -0.0083 0.1433
C 0.9681 -0.9813 1.3332
H -0.6575 -0.4140 0.0766
H -0.0722 -0.8499 -0.8159
H 0.0834 -0.5496 -1.3074
H -0.6844 -0.1003 0.6875
H 0.2019 0.1776 -0.8218
H 1.6479 -0.4229 0.0599
H 0.0581 -1.1288 -0.2691
H -1.0378 -0.0996 -0.3453
H -0.0847 -0.0449 -0.7445
H -0.2485 2.3627 1.2917
H -0.8925 -2.3415 -1.3200
O 0.0599 1.3799 -1.1829
H 0.4505 0.1191 -0.2371
H -0.5109 -1.4754 1.4309

## Properties
**HOMO level**: -8.1 eV
**LUMO energy**: 0.03257 hartree
**Orbital gap**: 9.0165 eV
**Energy above the lowest of the compared OMol25 structures with the same formula, charge and spin**: 74.2 kcal per mole
**Spin multiplicity**: 1

No. 2
A cluster of 2 separate species, C5H13NO in total. Source: the Open Molecules 2025 dataset; level of theory: ωB97M-V/def2-TZVPD.

Geometry (Å):
C  1.108330  -1.356166  1.120114
C  1.849994  -2.291234  0.188140
N  2.970364  -1.726363  -0.419632
O  1.562459  -3.453081  0.006866
H  1.342507  -0.338628  0.807380
H  1.351568  -1.572135  2.153553
H  0.036277  -1.456799  0.980627
H  3.310391  -2.093567  -1.298862
H  3.426256  -0.930816  -0.003066
C  -0.400412  1.810980  -0.721510
C  -1.353348  0.817647  -0.031413
C  -2.799639  1.327120  -0.061867
H  0.362260  1.359101  -1.355667
H  -0.097982  2.597332  -0.036886
H  -0.974704  2.328115  -1.506538
H  -1.199475  -0.184350  -0.420731
H  -1.006119  0.770652  1.007364
H  -2.953291  2.179739  0.592104
H  -3.006819  1.681907  -1.078225
H  -3.528609  0.530554  0.078255

Atomic forces in eV per Å
C 0.0166 0.1726 -0.7216
C 1.0537 -0.2326 -0.0010
N -0.5882 0.0256 0.0674
O -0.4635 0.2269 -0.2552
H 0.0941 0.1207 0.5352
H 0.1052 0.1248 0.1578
H -0.0169 -0.3651 0.0606
H 0.1026 -0.1847 0.5483
H -0.2341 0.0568 -0.3556
C -1.2938 0.2109 -1.2055
C 0.6429 0.7002 0.7137
C 0.2498 -0.4677 -1.1502
H 0.5997 -0.0942 0.7970
H 0.6052 -0.1103 -0.0492
H -0.0707 0.1008 0.2328
H -0.4376 -0.0656 -0.3002
H -0.2423 -0.2565 0.0196
H -0.0914 -0.1137 0.2750
H -0.0004 0.0675 0.0620
H -0.0309 0.0835 0.5691

## Properties
**HOMO level**: -9.8 eV
**LUMO energy**: 0.03038 hartree
-- stop --
Holy books and prophet associated with them
Qur’an : Muhammed
Injil (Gospels) : Isa (Jesus)
Zabur (Psalms) : Dawud (David)
Sahifah (Scrolls) : Ibrahim (Abraham) - (Distorted/lost)
Tawrat (Torah) : Moses - (Distorted, but not fully)
(Angel Gabriel) Gives good news.
Original copy isn’t fully in tact, and current copy is either lost, or not fully correct.
Prophethood and messengership
An angel (Michael), who is a friend to humanity
The angel of death
Mosque rules
- Cover your head to hide beauty, which is distracting.
- Remove shoes to keep things clean.
- Switch off devices to have no distractions.
- Perform wudu.
- Say ‘Peace be upon you’ to clear your head before prayer.
A cleansing ritual or ablution that is an important part of purity and cleanliness in Islam before performing worship.
Ninth month of Islamic calendar where you fast strictly.
Laylat al-Qadr
The night when the Qu’ran was sent down from heaven to the world. (The night of power)
20 % of profits paid for taxes (Shi’a Muslims only)
Greater Jihad
Striving to resist an evil in the world physically (defending Islam to others)
Lesser Jihad
Striving to resist evil within oneself (trying to be a good Muslim personally)
Ten obligatory acts
- Salah - daily prayers
- Sawm - fasting
- Zakat - giving money to the poor
- Hajj - pilgrimage to Mecca
- Jihad - the struggle to keep believe in Allah
- Khans - 20% annual tax
- Amr-bil-Maroof - encouragement to do good
- Nahi Anil Munkar - discouragement of bad actions
- Tawalla - associating with good people
- Tabarra - disassociating with bad people
Usul ad-Din
The 5 roots of Shi’a
What is Jannah described as in the Qu’ran
“Gardens of pleasure”
Hell in Islam
What does Raphael do
He sounds the trumpet on judgement dwy